Early Childhood

by WellspringCSEarly Childhood Education

To understand that learning disabilities can be diagnosed in preschool children, one must be aware that learning disabilities are not only academic disabilities. In fact, learning takes place at an amazing rate in preschoolers.  Experienced professionals can identify learning disabilities and at- risk factors for learning disabilities by assessing and evaluating the child’s uneven development on developmental scales.

A Specific Learning Disability is a chronic condition of neurological origin which selectively interferes with the development, integration, and/or demonstration of verbal and/or nonverbal abilities.  Specific Learning Disabilities exist as a distinct handicapping condition and vary in manifestations and in degree of severity.  Throughout life, the condition can affect self-esteem, education, vocation, socialization, and/or daily living activities.

Effective early intervention strategies will improve the child’s chances of future school success, reduce the need for special education services in later years, and minimize the loss of self-esteem brought on by a pattern of school failure.

Early childhood educators and child workers have a significant role in observing the development of the children they serve.  That role includes alerting parents to conditions and signs that, taken within the total context of the child and his family, may indicate problems in learning and adjustment.

Observations made in the natural setting of a child’s preschool or day care center can provide important baseline information that is useful in assessing the child’s individual development and in documenting the child’s response to interventions, along with help in understanding the child’s educational needs.

After ruling out physical problems, such as hearing or visual impairments, the following signs might suggest the risk of a Specific Learning Disability:

  • Showing signs of uneven development in informal self-directed play.
  • Displaying signs of lagging motor development such as quality of movement and how well the child is coordinated.
  • Showing evidence of delays in communication with other children and adults, which includes failure to follow directions, the quality of spoken language, with both receptive and expressive language considered.
  • Showing evidence of problems with memory and attention, which includes how a child functions both individually and in a group.
  • Displaying delays in socialization in a variety of social settings, such as preschool, daycare, religious and play group programs. 

'''
# 1
Material: GaCu
Method: DFT, GGA-PBE
State: optimized geometry

abc: 5.0897 5.0897 5.0897
angles: 90.00 90.00 90.00
Closest atoms and distances in Å follow each position.
Space group Fm-3m (No. 225)
Unique sites:
Ga 0.0000 0.0000 0.0000 [4 per cell]  6 Cu 2.54
Cu 0.0000 0.0000 0.5000 [4 per cell]  6 Ga 2.54

Computed properties:
The value obtained for the formation enthalpy at 0 K is 194 meV/atom. The calculation puts the energy at -26.937 eV for the cell shown. The calculation puts the magnetic moment at 0.0 μB per formula unit.

# 2
Material: BeZn2Si
Method: DFT, GGA-PBE
State: optimized geometry

abc: 3.7598 3.7598 7.5956
angles: 90.00 90.00 90.00
Closest atoms and distances in Å follow each position.
Space group I-4m2 (No. 119)
Unique sites:
Be 0.0000 0.0000 0.0000 [2 per cell]  8 Zn 2.66-2.67, 4 Si 2.67
Zn 0.0000 0.0000 0.5000 [2 per cell]  4 Be 2.66, 4 Si 2.67, 4 Zn 2.67
Zn 0.0000 0.5000 0.2500 [2 per cell]  4 Si 2.66, 4 Be 2.67, 4 Zn 2.67
Si 0.0000 0.5000 0.7500 [2 per cell]  8 Zn 2.66-2.67, 4 Be 2.67

Computed properties:
The calculation puts the energy at -20.971 eV for the cell shown. The calculation puts the magnetic moment at 0.0 μB per formula unit. The formation energy (no corrections) is 0.30 eV per atom.

# 3
Material: TeH2Pt2
Method: DFT, GGA-PBE
State: optimized geometry

abc: 3.5793 3.5793 9.7811
angles: 90.00 90.00 90.00
Closest atoms and distances in Å follow each position.
Space group I4/mmm (No. 139)
Unique sites:
Te 0.0000 0.0000 0.0000 [2 per cell]  10 Pt 2.99-3.31, 8 H 3.03
H 0.0000 0.5000 0.2500 [4 per cell]  4 Pt 1.99
Pt 0.0000 0.0000 0.3381 [4 per cell]  4 H 1.99

Computed properties:
The calculation puts the energy at -41.913 eV for the cell shown. The calculation puts the magnetic moment at 0.0 μB per formula unit. The energy above the lowest structure with this stoichiometry is 0.41 eV per formula unit.
'''

The presence of significant delays in specific areas of development, when other skills are age appropriate and within the average or above average level of development, could indicate, that a preschooler has a Specific Learning Disability. 

Warning signs to consider for predictors of possible Specific Learning Disabilities are:

  • The physical/developmental condition of the child from the earliest days of his life
  • The child’s ability for adapting and compensating. 

The above warning signs don’t necessarily mean that there are problems.  If a child’s pattern of development is uneven, and/or inconsistent, these are the concerns that need to be discussed with a pediatrician, family physician, or early childhood specialist.  Early intervention with a child who is behind in language, social, cognitive, fine motor, or gross motor development can make a world of difference.

Below are medical diagnoses/conditions that may lead to a diagnosis of Specific Learning Disability.

High Risk Factors:

  • Pregnancy trauma, such as infection, lack of pre-natal care, prematurity, drugs, alcohol, smoking, some prescription medications, bulimia or anorexia
  • Cord wrapped around the neck or jaundice
  • Children born without a functioning thyroid system
  • Low birth weight babies
  • Viral or bacterial infections
  • Genetic abnormalities
  • Abnormal development – failure to thrive
  • Any condition, such as infection or injury that involves the brain
  • Family history is considered the most serious risk factor

 Developmental Signs That Might Suggest a Specific Learning Disability in a Pre-School Child

  • Language delay (late in talking)
  • Developmental language disorder
  • Difficulty pronouncing the sounds in words (phonological     disorder)
  • Fine and gross motor delay
  • Motor clumsiness (developmental coordination disorder)
  • ·         Problems with socialization
  • ·         Inconsistency of developmental milestones

Medical Diagnoses/Conditions That Might Suggest a Specific Learning Disability in a Pre-School Child:

  • Attention Deficit Hyperactivity Disorder
  • Specific genetic syndromes, such as Turner, Fragile X, or Prader-Willi
  • Seizure disorders, such as convulsions, epilepsy*
  • Neurosurgical disorders, such as shunted hydrocephalus*
  • Leukemia survivor, after radiation/chemotherapy
  • Failure to thrive
  • Neuromuscular disorder, such as muscular dystrophy*
  • Central nervous system infection, such as encephalitis or meningitis
  • Brain tumor
  • Traumatic Brain Injury (TBI)
  • Recurrent/chronic otitis media
  • Strabismus
  • Tactile defensiveness
  • Cerebral palsy*
  • Lead poisoning (plumbism)
  • Tourette Syndrome*
  • Neurofibromatosis*
  • Childhood history of pica (eating non-food items). *

While these disorders are not considered to be learning disabilities, the incidence of Specific Learning Disabilities is higher in these populations.  Also, it is important to recognize that Specific Learning Disabilities can be present in children who have other handicapping conditions as well.

 What Are Some Assessment Techniques?

Preschoolers can be evaluated by using developmental scales, speech/language assessment, play assessment, observations, interviews with caretakers and teachers, and dynamic assessment which evaluates the child’s ability to learn a specific task with teacher guidance.  Another technique is authentic assessment, such as a portfolio collection of the child’s work and play samples.  Other useful techniques include criterion-referenced assessment, which evaluates the child’s mastery of specific skills, and standardized screening/diagnostic instruments.  The use of a variety of these assessment techniques can assist in determining if the child displays uneven patterns of development.

Who Should Do the Evaluation?It is extremely important to choose professionals who have experience and expertise in assessing young children for Specific Learning Disabilities.  Call the Los Angeles Learning Disabilities Association for suggestions and referrals at 626-355-0240.


 Motor Skills

Does your child have problems with small or large motor co-ordination?

 Cognitive Skills

  • Does your child explore the environment?  If so, how?
  • How does your child problem-solve?
  • How does your child transition from one activity to another?
  • What activities hold your child’s attention?
  • How long is the child’s attention span? 

Language Skills

........
A plane-wave DFT calculation with GGA-PBE was carried out for VPH3 after structural relaxation.

- Density: 3.618 g/cm³
- Distance to the lowest polymorph of the same formula: 304 meV/atom
- Electronic total energy: -4.159 eV/atom
- Calculated volume: 7.80 Å³ per atom

a b c (Å): 3.3906 3.3906 3.3906
angles (deg): 90.00 90.00 90.00
Space group Pm-3m (No. 221)
Symmetry-distinct sites (fractional):
V  0.0000  0.0000  0.0000 (multiplicity 1)
P  0.5000  0.5000  0.5000 (multiplicity 1)
H  0.0000  0.5000  0.5000 (multiplicity 3)

=====

A plane-wave DFT calculation with GGA-PBE was carried out for K2PaTc2N4 after structural relaxation.

- Density: 5.679 g/cm³
- Electronic total energy: -7.781 eV/atom
- Formation energy from raw total energies: -0.48 eV per atom
- Calculated volume: 18.24 Å³ per atom

a b c (Å): 14.0218 3.4819 6.7323
angles (deg): 90.00 93.00 90.00
Space group C2/m (No. 12)
Symmetry-distinct sites (fractional):
K  0.1253  0.0000  0.0185 (multiplicity 4)
Pa  0.0000  0.0000  0.5000 (multiplicity 2)
Tc  0.1927  0.5000  0.5783 (multiplicity 4)
N  0.0582  0.5000  0.6906 (multiplicity 4)
N  0.1617  0.0000  0.4268 (multiplicity 4)

=====

A plane-wave DFT calculation with GGA-PBE was carried out for CsTc3Te after structural relaxation.

- Density: 7.013 g/cm³
- Distance to the lowest polymorph of the same formula: 0 meV/atom
- Electronic total energy: -5.243 eV/atom
- Formation energy from raw total energies: 1.78 eV per atom
- Calculated volume: 26.26 Å³ per atom

a b c (Å): 5.0825 5.0825 5.0825
angles (deg): 90.00 90.00 90.00
Space group Pm-3m (No. 221)
Symmetry-distinct sites (fractional):
Cs  0.0000  0.0000  0.0000 (multiplicity 1)
Tc  0.0000  0.5000  0.5000 (multiplicity 3)
Te  0.5000  0.5000  0.5000 (multiplicity 1)

=====

A plane-wave DFT calculation with GGA-PBE was carried out for SiGeH3 after structural relaxation.

- Density: 1.946 g/cm³
- Distance to the lowest polymorph of the same formula: 0 meV/atom
- Electronic total energy: -3.874 eV/atom
- Calculated volume: 17.71 Å³ per atom

a b c (Å): 6.5205 4.1249 6.8763
angles (deg): 90.00 106.80 90.00
Space group P2_1 (No. 4)
Symmetry-distinct sites (fractional):
Si  0.2378  0.0000  0.2731 (multiplicity 2)
Ge  0.4988  0.4369  0.9081 (multiplicity 2)
H  0.0229  0.8632  0.1637 (multiplicity 2)
H  0.2120  0.3553  0.2990 (multiplicity 2)
H  0.3131  0.8535  0.4807 (multiplicity 2)

=====

A plane-wave DFT calculation with GGA-PBE was carried out for MnCr2Mo after structural relaxation.

- ΔH_f (0 K): 0.09 eV per atom
- Density: 8.146 g/cm³
- Distance to the lowest polymorph of the same formula: 0 meV/atom
- Electronic total energy: -9.723 eV/atom
- Calculated volume: 12.99 Å³ per atom

a b c (Å): 4.1593 4.1593 3.0030
angles (deg): 90.00 90.00 90.00
Space group P4/mmm (No. 123)
Symmetry-distinct sites (fractional):
Mn  0.0000  0.0000  0.0000 (multiplicity 1)
Cr  0.0000  0.5000  0.5000 (multiplicity 2)
Mo  0.5000  0.5000  0.0000 (multiplicity 1)

=====
........

  • Can your child follow directions?
  • Does your child communicate with words? 

Social Skills

  • Does your child make eye contact?
  • Will your child play with other children or does he/she prefer to play alone?

Psychological Development

  • What is the child’s reaction to physical contact?
  • Is your child aggressive? (hit, kick, bite, spit, throw objects or verbally lash out at others)
  • How does the child express emotions such as fear, anger, frustration and sadness?
  • What is your child’s frustration level?  What does he/she do when frustrated? 


Parents have a unique opportunity to observe their child’s social, language, thinking, and motor skills on a daily basis.  If a child appears to be lagging behind his/her peer group in any of these areas, there are things you can do and ways that you can help.

 Social/Emotional Development

You can encourage a child’s social and emotional development by providing opportunities to interact with people of all ages in a variety of situations.  Learning begins at home.  Children must feel comfortable at home and need a sense of belonging.  Get-togethers of all types, such as family gatherings, religious services, birthday parties, and picnics may teach appropriate social behaviors if your child is capable of learning by example or modeling.  Consider enrolling a child in a preschool program or special classes like play therapy or social skills groups, if additional help and experiences are needed.


Enhance motor skills with simple recreational activities like playing catch or bouncing a ball.  Expand a child’s experience with a variety of activities, such as running, jumping, rolling, climbing, swinging, etc., and later, swimming, karate and gymnastics.  Consider having him/her learn to play a musical instrument.  If professional help is needed, consider physical or occupational therapy.  There are programs available that provide therapy for motor delays.


It is important to read to your child before the age of one.  Choose age-appropriate books.  As the child gets older, talk to him/her about the stories and pictures in the books you read.  As language develops children should be able to answer questions about the stories they hear.

By age three, your child should be using words to communicate his/her needs.  A child should be able to follow simple directions such as “pick up your toys”.  Children who need additional help with processing expressive and/or receptive language may benefit from speech and language therapy.


Children want to learn.  Early concepts of numbers and letters should be part of their everyday experiences.  It is important to support your child’s interest in trains, dolls, animals, etc.  Singing songs, reading books, and playing games together will give your child opportunities to learn. 

Parents Communicating With ProfessionalsMany parents feel intimidated when talking with professionals.  Some parents may accept what the professional says without question.  Parents know their children better than anyone.  Your observations and feelings about your child may well be correct. 

Suggestions For A Productive Meeting

Prepare for meetings – make a list in advance of the concerns and questions you have.

  • When you don’t understand something, ask for clarification immediately.  The professional may not even realize he/she has used technical language or jargon.
  • Take notes.
  • Keep a notebook of all information and documents given to you by professionals.
  • Following the meeting review your notes and reports.
  • Write down all follow up questions for your subsequent meetings.
  • It is critically important that you take a friend or family member who can be supportive, remain objective and helpful in remembering what was said during the meeting. 

Asking Questions

The following are some lead-in statements that are good for clarifying and sharing information:

Describe for me . . . . .

Tell me more about . . . . .

Someone pasted data records at this point
1.
Here is an optimized crystal structure of Ca2CdBiN from the Alexandria database. Energies are from PBE.

Computed properties:
DOS(E_F) = 0.83 states/eV/f.u.
raw formation energy = -628 meV per atom

Cell: 4.9469 4.9469 4.6349 Å, 90.00 90.00 90.00°
Last column: nearest neighbours and their distance in Å.
Element x y z (fractional)
Ca  0.0000  0.5000  0.0000  2 N 2.47
Ca  0.5000  0.0000  0.0000  2 N 2.47
Cd  0.0000  0.0000  0.5000  2 N 2.32
Bi  0.5000  0.5000  0.5000  8 Ca 3.39, 4 Cd 3.50
N  0.0000  0.0000  0.0000  2 Cd 2.32, 4 Ca 2.47

---

2.
Here is an optimized crystal structure of HfSc2TiN from the Alexandria database. Energies are from PBE.

Computed properties:
DOS(E_F) = 6.19 states/eV/f.u.
raw formation energy = -616 meV per atom
distance to the lowest polymorph of the same formula = 0 meV/atom

Cell: 4.4765 4.4765 4.4576 Å, 90.00 90.00 90.00°
Last column: nearest neighbours and their distance in Å.
Element x y z (fractional)
Hf  0.0000  0.0000  0.0000  2 N 2.23
Sc  0.0000  0.5000  0.5000  2 N 2.24
Sc  0.5000  0.0000  0.5000  2 N 2.24
Ti  0.5000  0.5000  0.0000  8 Sc 3.16, 4 Hf 3.17
N  0.0000  0.0000  0.5000  2 Hf 2.23, 4 Sc 2.24

---

3.
Here is an optimized crystal structure of Sm4CuAg2 from the Alexandria database. Energies are from PBE.

Computed properties:
DOS(E_F) = 8.49 states/eV/f.u.
calculated total energy = -4.18 eV per atom

Cell: 6.2930 6.2930 5.1342 Å, 90.00 90.00 109.08°
Last column: nearest neighbours and their distance in Å.
Element x y z (fractional)
Sm  0.0000  0.5000  0.5000  2 Cu 3.15, 4 Ag 3.15
Sm  0.2459  0.2459  0.0000  2 Cu 3.13, 4 Ag 3.14-3.15
Sm  0.5000  0.0000  0.5000  2 Cu 3.15, 4 Ag 3.15
Sm  0.7541  0.7541  0.0000  2 Cu 3.13, 4 Ag 3.14-3.15
Cu  0.0000  0.0000  0.5000  8 Sm 3.13-3.15
Ag  0.2524  0.7476  0.0000  8 Sm 3.14-3.15
Ag  0.7476  0.2524  0.0000  8 Sm 3.14-3.15

---

4.
Here is an optimized crystal structure of Sb4C2S from the Alexandria database. Energies are from PBE.

Computed properties:
DOS(E_F) = 2.91 states/eV/f.u.
raw formation energy = 885 meV per atom

Cell: 7.0584 7.0584 7.0584 Å, 135.89 135.89 64.16°
Last column: nearest neighbours and their distance in Å.
Element x y z (fractional)
Sb  0.0000  0.5000  0.5000  2 S 2.65, 4 C 2.73
Sb  0.2346  0.2346  0.0000  1 C 2.14
Sb  0.5000  0.0000  0.5000  2 S 2.65, 4 C 2.73
Sb  0.7654  0.7654  0.0000  1 C 2.14
C  0.0558  0.0558  0.0000  1 C 1.34
C  0.9442  0.9442  0.0000  1 C 1.34
S  0.5000  0.5000  0.0000  4 Sb 2.65

---

> Which of these has the highest DOS(E_F)?

Sm4CuAg2

---

> The lowest DOS(E_F) belongs to which entry?

Ca2CdBiN


Computed, not measured: a relaxed structure of Pm8Sb5Pb at the PBE level of DFT.

Computed properties:
Energy relative to the elements, uncorrected (eV per atom): -0.978
Calculated total energy (eV for the cell shown): -152.0

CIF file:
```
data_Pm8Sb5Pb
_chemical_formula_sum 'Pm16 Sb10 Pb2'
_cell_length_a 9.476
_cell_length_b 9.476
_cell_length_c 9.474
_cell_angle_alpha 90.00
_cell_angle_beta 90.00

Give me an example of . . . . .

Can you tell me about . . . . .

It is also important that you fully understand what was said by the professional(s) and that your understanding is what was meant.  Paraphrasing is a useful technique to use for this purpose, as well as to help you process the information you have received.  The following are good lead-in statements for paraphrasing:

What I think you mean is . . . . .

I understand you to say . . . . .

What you are saying means to me that . . . . .

Do you mean . . . . .

Now, as I understand it . . . . .

Let me make sure I’m understanding you . . . . .

I hear you saying . . . . .

Your concern seems to be . . . . .

Are you saying that . . . . .

 These lead-in statements can be used for sharing information:

Let me tell you about . . . . .

Let me share with you . . . . . 

Specific Questions Parents Might Want to Ask the Professional

  • Are my child’s problems due to a hearing or visual impairment?
  • What kind of tests/assessments are used to determine if my child has a problem?
  • Will I receive a copy of the test results?
  • What kind of help is available for my child?
  • What should I expect this therapy/intervention to accomplish?
  • What can I do at home to help my child?
  • Could his/her condition have the potential to cause physical injury to himself/herself or others?
  • What behaviors should I watch for at home that will help me understand my child better?
  • How will I know my child is making progress?
  • What changes can I expect to see in my child’s behavior?  Development?
  • What is the best way to deal with these behaviors at home and school?
  • Does my child need other services such as occupational or physical therapy, or adaptive physical education?
  • Are there agencies available that will help my child with his/her specific needs?
  • Are you willing to share the findings of your assessment and observations with others? 

Communicating With Parents

It is the responsibility of the professional to help parents understand the child’s specific disability and individual needs.Professionals should support and encourage parents, creating an atmosphere of trust in which parents feel respected, heard, and supported as equal members of the team that is working with their child.  Use layman’s terms and explain any technical terms you use.  Trust in the parents’ instincts and their understanding of the child.

Ask parents what their goals and dreams are for their child.Be realistic and honest about your perceptions as to what the future holds.  When appropriate, refer parents to other resources and support groups.

Professionals should always review their notes and all pertinent information regarding a child prior to meeting with the parents.

 By the age of three, if you suspect that your child has a disability or has been diagnosed with a disability, you need to contact the Director of Special Education for your local school district.  The school district is mandated to provide services to three year olds if they have a handicapping condition.  If you have questions call LALDA at 626/355-0240 for assistance. 

The content of this Early Childhood page was partially taken from “When Pre-Schoolers Are Not ‘On Target’ In Their Development”, a publication of the Learning Disabilities Association of America.  This document was revised by Carol Burton, M.A., Cathy Fickas, M.S. Diane Kerchner, B.A. and Judy McKinley.